About Love spells, blackmagic and wicca
# Unrelated to this entry: records of crystals
1.
A relaxed Tm3B7Ru crystal. Source: Alexandria via LeMat-Bulk, functional PBE-GGA.

Output
Symmetry: Cmcm (63)

a b c (Å): 3.479 7.950 9.238
angles (deg): 90.00 90.00 102.64
Atoms (fractional coordinates):
1 Tm 0.106 0.212 0.440
2 Tm 0.894 0.788 0.560
3 Tm 0.245 0.490 0.750
4 Tm 0.755 0.510 0.250
5 Tm 0.106 0.212 0.060
6 Tm 0.894 0.788 0.940
7 B 0.455 0.909 0.750
8 B 0.545 0.091 0.250
9 B 0.480 0.960 0.405
10 B 0.520 0.040 0.595
11 B 0.520 0.040 0.905
12 B 0.480 0.960 0.095
13 B 0.368 0.736 0.349
14 B 0.632 0.264 0.651
15 B 0.273 0.545 0.466
16 B 0.727 0.455 0.534
17 B 0.727 0.455 0.966
18 B 0.273 0.545 0.034
19 B 0.368 0.736 0.151
20 B 0.632 0.264 0.849
21 Ru 0.946 0.893 0.250
22 Ru 0.054 0.107 0.750

2.
A relaxed TmB4Ru4 crystal. Source: Alexandria via LeMat-Bulk, functional PBE-GGA.

Output
Relative energy among the computed polymorphs, kJ/mol of formula units: 41.8
Symmetry: P4_2/nmc (137)

a b c (Å): 5.360 5.360 7.323
angles (deg): 90.00 90.00 90.00
Atoms (fractional coordinates):
1 Tm 0.000 0.000 0.000
2 Tm 0.500 0.500 0.500
3 B 0.500 0.828 0.850
4 B 0.500 0.172 0.850
5 B 0.828 0.500 0.150
6 B 0.172 0.500 0.150
7 B 0.328 0.000 0.350
8 B 0.672 0.000 0.350
9 B 0.000 0.328 0.650
10 B 0.000 0.672 0.650
11 Ru 0.255 0.500 0.860
12 Ru 0.745 0.500 0.860
13 Ru 0.500 0.745 0.140
14 Ru 0.500 0.255 0.140
15 Ru 0.000 0.755 0.360
16 Ru 0.000 0.245 0.360
17 Ru 0.245 0.000 0.640
18 Ru 0.755 0.000 0.640

3.
A relaxed TmB3Ru3 crystal. Source: Alexandria via LeMat-Bulk, functional PBE-GGA.

Output
Relative energy among the computed polymorphs, kJ/mol of formula units: 0.0
Symmetry: Pm-3n (223)

a b c (Å): 5.793 5.793 5.793
angles (deg): 90.00 90.00 90.00
Atoms (fractional coordinates):
1 Ru 0.250 0.000 0.500
2 Ru 0.000 0.500 0.250
3 Ru 0.500 0.750 0.000
4 Ru 0.750 0.000 0.500
5 Ru 0.000 0.500 0.750
6 Ru 0.500 0.250 0.000
7 B 0.000 0.250 0.500
8 B 0.000 0.750 0.500
9 B 0.500 0.000 0.750
10 B 0.750 0.500 0.000
11 B 0.500 0.000 0.250
12 B 0.250 0.500 0.000
13 Tm 0.500 0.500 0.500
14 Tm 0.000 0.000 0.000

4.
A relaxed TmBRu2 crystal. Source: Alexandria via LeMat-Bulk, functional PBE-GGA.

Output
Symmetry: R-3m (166)

a b c (Å): 3.231 3.231 6.997
angles (deg): 76.65 76.65 60.00
Site moments in Bohr magnetons follow the coordinates.
Atoms (fractional coordinates):
1 Ru 0.721 0.721 0.838  0.12
2 Ru 0.279 0.279 0.162  0.12
3 B 0.000 0.000 0.000  -0.01
4 Tm 0.500 0.500 0.500  -0.01

5.
A relaxed TmBRu crystal. Source: Alexandria via LeMat-Bulk, functional PBE-GGA.

Output
Relative energy among the computed polymorphs, kJ/mol of formula units: 98.1
Symmetry: C2/m (12)

a b c (Å): 3.107 4.713 7.175
angles (deg): 109.14 102.36 90.05
Atoms (fractional coordinates):
1 Tm 0.167 0.667 0.334
2 Tm 0.833 0.333 0.666
3 B 0.999 0.815 0.000
4 B 0.001 0.185 0.000
5 Ru 0.603 0.103 0.206
6 Ru 0.397 0.897 0.794

6.
A relaxed TmB4Ru4 crystal. Source: Alexandria via LeMat-Bulk, functional PBE-GGA.

Output
Relative energy among the computed polymorphs, kJ/mol of formula units: 0.0
Let me make this clear. These are only my personal observations and opinions, so please accept them or disregard them as per your own judgmentally. Love spells and blackmagic are a complicated topic with many different practices and beliefs involved. Please accept my writings on this topic as a free service to the community, because it is really sad to see folks using services of spell casters which are not really ethical and don't follow proper magic rules in their line of work.
When people feel vulnerable and without hope, it's particularly easy to be misguided in both magic and real life. Magic by its own nature contains a level of secrecy, it feels like something truly exotic and out of reach to ordinary people, and in many case it really is so. People looking for spell casters and magic practitioners, are searching for things they really don't know or understand. And this is the reason why they are so vulnerable to crooks and fake spell casters, which pretend to be something they aren't, with all their mystic loaded names, websites and impressive looking credentials. They are always ready to take your hard earned money without doing any magic or spell casting at all, despite all their promises and this is something which damages reputation of all honest spell casters out there.
And let me clarify a thing about myself: I am a real spell caster and I do magic (not black magic) to help people. But I don't have any motives for writing this guide beside helping people by informing them about what they should look and ask for. There are many good, skilful and knowledgeable magic practitioners in the world, and chances are that the secret powers we don't see with our eyes, will lead you to one of those honest spell casters. But no matter what, you should know that like in many other situations in life there are no love spell casters nor magic spells which fit perfectly for everyone. Every magic practitioner has his own field of speciality and his own unique magical gifts. Because of this, they will work on different cases with various end results. For what it's worth, I tend to keep my magic work to a bare minimum. To do real magic and to cast energetically strong spells (love, money, binding) is hard, and to keep hundreds of clients which could be impressed with my guide would prove to be nearly impossible. So instead, I work only with a couple of clients at a time, so every client has my complete, undivided attention.
Here are a couple of things you should think about before you choose what is good for your case.

Different ways of doing magic and what are some types of spell casters:
Ok, so lets see how come there is so much different styles and ways of doing magic? What are some of the differences in spell casting? You have probably heard some of these names: witches, psychics, voodoo priests, wicca and so on. So lets think about these and many others and consider them to be a part of a broad category. Lets call this category magic practitioners. All above named groups and individuals are involved in a particular style of magic and spells, be it from a traditional based approaches or as a way of expressing their religious needs.
The essence is this: the urge to practice magic comes from a real life problem which can be solved with some magic practice. This is something every society in every age practiced, since the dawn of the human race on this earth. It is not about some popular New Age cult, instead it is a deeply felt and needed practice. This practice is sometimes performed by experienced magic practitioners, which share their magic gifts and in return make a living of it. You will probably easily found a number of different magic practitioners online.
Here is a word or two about these different styles of magic. First of all there are some which call themselves Witches. These people are involved in a kind of magic known as witchcraft or blackmagic and is mostly coming from the old European magic traditions. Wichcrafting involves rituals, chanting, herbal potions and other less known practices. Basically this kind of magic is not religion based, and can be considered as a magic skill which can be learned no matter your own religion or ethnic origin.
Wicca? What is wicca??
But there is also a group of Witches which prefer another approach. They call themselves Wicca. Wicca is actually a widely recognized form of nature loving and peaceful religion. But many Wicca's also practice a way of Witchcrafting which is an essential part of their ceremonies. And here is a problem: not all Wican's are doing Witchcraft, and not all Witches are Wicca's! Confusing, isn't it?

True Wiccans only do what is known as white magic, meaning that they are not into forcefully influencing or controlling other people, which is often considered as a blackmagic. Interesting enough, Wicca teaches that the magic powers follow something they call the law of return, the magic you sent to someone will in time come back to you in three times stronger form. This means they will often avoid to do even white magic. So if you see someone who claims he is a Wicca and offers you a revengeful magic or love spell, you will know he isn't really a true Wicca. A true Wiccan will never do a revenge, love spell or anything similar no matter the money, as he believes it will come back to him in no time. In fact, you will hardly ever find a Wiccan which casts spells for money.
Spiritual workers are actually people like me. We usually use a number of different approaches including prayers, religious devotion and casting magic on behalf of our clients. In general, the work we do is of “white” kind of magic (not blackmagic) but this certainly depends on the circumstances. Sometimes when you want to break up with a boyfriend who abuses you, you are allowed to use some more radical ways of doing magic on your behalf. When a wicked person wants to split up your longtime relationship or marriage you must deflect his or her evil intentions and it will still be a kind of white magic.
The overall situation is all that matters, in one situation something is not acceptable while in slightly different situation the same magic action is quite appropriate. This is why a good Spiritual Worker has to know many things. Sometimes a Spiritual Worker can also offer you some good spiritual advices. Many of us are deeply involved with our church communities, although in many cases we are not tied to any particular confession. In fact, anyone who is deeply connected to the Divine and is willing to help other people can be considered as a Spiritual Worker. If you pray often, and you pray for other people's benefit you can consider yourself as a Spiritual Worker. Many of us who are involved in magic spells, light candles for other people because candles and prayers are an effective combination. Spiritual Workers can also provide other services or goods like supplies for spiritual cleansing baths. Often some other magic techniques are required, like love spells, magic ceremonies, burning incenses and so on. In fact, a decent Spiritual Worker can do broad variety of magic actions on your behalf.
What to expect from a Spell Caster
- An honest professional will always answer any question you have. Of course, this doesn't include obsessive or malicious kinds of questions. What is important is how and what they answer you, and this will give you clues about what kind of Spell Casters they are. A good magic practitioner will want to learn more about your situation and your background. If he claims he has all the answers for any possible situation it should immediately raise your suspicion. As said before, there are various skills and types of magic. One kind of magic is great for a particular situation, but is completely inappropriate in another situation. Most spell casters have rules and they wont do some kind of magic no matter what. These are of limit for them, and someone who is genuinely ethical wont promise you something he cant complete for any reason. The same happens if your request is hardly achievable, like if you want to get back your long lost first love, which is now living abroad and is happily married. These kind of things wont work very well, and a true Spell Caster will let you know about this in advance.
- There is another way you can see whether you deal with a good magic practitioner or not. A good Spell Caster will provide you with feedback even before he starts his work and before he gets hired. This way, he will let you know what to expect from the process. If people come to me with some questions, I have to understand their situation so I know if I can help them in the first place. Of course, magic is by its own nature hard to define and control and no outcomes are absolutely certain, but a good magic worker should tell you if your request falls into the realm of possible. Like the example above, if there is a need for a break up and reconciliation Magic Spell, are those spells proper for this need? Can they give you the results you wanna see? Clearly in the example above the answer is no. Things have gone too far, and a magic worker who is telling you something different is not really honest. Of course there are times and situations when some clients don't want to understand this and want a spell cast for them no matter what. This is all right, but a professional spell caster should always inform his client about his professional opinion, before he gets hired.
- If you ask your magic worker about his magic practice, he should tell you what will be done on your behalf. If someone tells you that he cant tell you about his magic secrets, they are likely not real professionals. Of course, most magic practitioners wont tell you all their tricks and you wont get detailed answers, but he should provide you with the basic informations about the magic which will be performed for you. Here is what it should look like when you ask about your spells. Please note: this is not really how it works, just an provisional example so you can recognize a true magic worker. “I will invoke the spiritual forces of Lakshmi into this blessed candle and while it burns, I will pray and mix a herbal potion which will be either burnt or mailed to you, as to continue influencing positively your financial situation, and so on.” This is quite important in my opinion, and it is so for several reasons. First of all, you should know what you pay for. Second, people hiding behind their secret oats are in most cases fake. And in the end, you may want to do something on your own, to enhance the magic process, such as drinking a herbal tea, praying on your own, do some research about the whole process and so on.
- A good magic worker will always educate his clients about magic, about his ways of performing magic work, what is the best way for the client to get most of it, and what could be the potential end results. If the magic worker skips this important step, you should be careful as this is a highly suspicious behavior. It is perfectly normal to have many questions about the magic, and you are paying for this with your own, hard earned money. So it's their professional obligation to inform you properly. Of course this doesn't mean you should receive training in magic or your magic worker should become your teacher. It simply means that you should get the feedback on what is being done for you and what you could do to enhance the magic to help you achieve the results you wish for.
- A genuine magic practitioner should always provide you with informations about what should happen after the magic work is performed. If he tells you that you don't have to do anything, you are not getting a great service. Of course, you can always sit back and wait for the magic to take its course, and wait for everything to work without you taking any additional steps. But someone who knows his work, will at least give you some additional guidelines both magic and common sense based, on how to push the whole process in a good direction. Here is another example. You are searching for your dream job and you want to get help from a magic worker to cast some spells to help you along the way. You are not really actively searching for this job, and you would like for a spell to do the most work for you. Normally, sitting back and watching TV shows wont get you any closer to your dream job. Will the magic spell cast for you, be able to drag the employer to your living room to offer you your dream job? Not very likely. Now here is what a genuine spiritual worker would told to our job seeker. He would let him know when exactly he started his magic work and advised him to search for this job opening when the magic starts to work. A good prayer before the job search is always helpful. And while searching, our prospective job seeker will find a job offer which looks potentially interesting and rewarding. This will be a strong indication that the magic is working on his behalf. But this is not, all as the magic practitioner might provide our job searcher with a special herbal mixture which should be applied on the papers he uses for his job application. Later on, the magic practitioner will advise the job seeker to contact the potential employer and ask for a job interview. Since this all happens under the influence of magic he will be assured that the powers are helping him to get the job he needs. Now that is a good approach, and one which will yield the best results for the client. And this is how it should look like when you hire some real Spell Caster. It is extremely important for the client of a magic worker, to know about the kind of signs which he should look after, once the spell is cast. Personally in my work I tend to provide my own clients with a timeline of events. It will help people to know what to expect and most importantly, was the spell successful. Here is an example: if a client wants a spell cast to bring her old love back, and after some time this didn't happen, she will clearly recognize this and is able to take further actions. This could include repeating of the magic spell, changing her intentions or in some cases accepting the sign and understanding that it is time to move on. This is why it is of critical importance for a professional magic worker to give proper information to his client after the spell is cast. And this is not all, as there are more signs which come from the magic work itself and which are important for the client (signs, mystic experiences, ESP).
- This is one of those clues which will certainly separate true magic workers form the fake ones. A professional Love Spell Caster MUST give you the feedback from his own magic experience gained during the work he did on his clients behalf. Magic is a secret force of nature and it speaks to people through different signs, symbols and intuitions. These have to be skilfully interpreted in order for the magic to be successful. Many different things happen when the magic is performed, for example the candles burnt tend to melt in various patterns and the wax can form various symbols, intuition becomes very strong and powerful, subtle energies circle through Tarot cards delivering sublime messages for the client. A good magic worker will let you know about all such signs and what those represent for your case, as they can be of essential importance for the client goals. If you ask some experienced magic caster he will probably tell you a number of stories where these kind of signs proved to be of immense significance in the real world
Every magic work is different as every client and his situation are different. Your magic worker has to share all such informations with you as it can give you clues as to what actions you should take.